Listing.
=====
1.
AcYAl3: relaxed, PBE.

## Properties
Mass density ... 4893 kg/m³
Fermi-level density of states ... 3.86 states/eV/f.u.
Energy relative to the elements ... -0.39 eV per atom

a b c (Å): 13.5979 13.5979 4.4119
angles (deg): 90.00 90.00 160.72
Sites, in units of the cell vectors:
1 Ac 0.0755 0.9245 0.7500
2 Ac 0.9245 0.0755 0.2500
3 Y 0.2048 0.7952 0.2500
4 Y 0.7952 0.2048 0.7500
5 Al 0.3217 0.6783 0.2500
6 Al 0.3764 0.6236 0.7500
7 Al 0.4752 0.5248 0.7500
8 Al 0.5248 0.4752 0.2500
9 Al 0.6236 0.3764 0.2500
10 Al 0.6783 0.3217 0.7500

***

2.
LaAgN2F: relaxed, PBE.

## Properties
Mass density ... 5340 kg/m³
Fermi-level density of states ... 2.70 states/eV/f.u.
E_form (uncorrected) ... 0.08 eV/atom

a b c (Å): 4.4171 4.4171 4.6826
angles (deg): 90.00 90.00 90.00
Sites, in units of the cell vectors:
1 La 0.0000 0.0000 0.0000
2 Ag 0.5000 0.5000 0.5000
3 N 0.0000 0.5000 0.0000
4 N 0.5000 0.0000 0.0000
5 F 0.0000 0.0000 0.5000

***

3.
Sc2HS: relaxed, PBE.

## Properties
Mass density ... 3528 kg/m³
Fermi-level density of states ... 3.83 states/eV/f.u.
Calculated total energy ... -5.71 eV/atom

a b c (Å): 4.3421 4.3421 4.3421
angles (deg): 60.00 60.00 60.00
Sites, in units of the cell vectors:
1 Sc 0.2500 0.2500 0.2500
2 Sc 0.7500 0.7500 0.7500
3 H 0.0000 0.0000 0.0000
4 S 0.5000 0.5000 0.5000

***

4.
Na2PaSnSe5: relaxed, PBE.

## Properties
Mass density ... 5011 kg/m³
Fermi-level density of states ... 3.92 states/eV/f.u.
E_form (uncorrected) ... -0.97 eV/atom

a b c (Å): 9.0640 9.0640 13.9574
angles (deg): 90.00 90.00 152.81
Sites, in units of the cell vectors:
1 Na 0.0869 0.9131 0.5000
2 Na 0.1205 0.8795 0.1525
3 Na 0.8795 0.1205 0.6525
4 Na 0.9131 0.0869 0.0000
5 Pa 0.2341 0.7659 0.8728
6 Pa 0.7659 0.2341 0.3728
7 Sn 0.4551 0.5449 0.2758
8 Sn 0.5449 0.4551 0.7758
9 Se 0.0722 0.9278 0.8989
10 Se 0.2635 0.7365 0.5029
11 Se 0.2920 0.7080 0.2413
12 Se 0.3827 0.6173 0.8367
13 Se 0.4963 0.5037 0.5997
=====

Wanted.
Next, work out how many lines further above have the word "Ag" in them; a number is enough.

Completed.
1